Interview 002: Mack Nielson
For the second installment of Infrequently Asked Questions, I interviewed Mack Nielson, a Chicago-based (for now) writer and generally spirited young lady with the emotional maturity and wisdom of someone twice her age. I've known Mack for less than a year, but in that time, I've been blown away by her hustle, and the thoughtful way she contributes her talents to the world. I think she's magic. Here's Mack.

What character stuff have you had to actively work on over the past several years?
Over the past several years I've struggled with confidence--whether it's confidence to show up somewhere alone, share my ideas at work or wear something unusual.
Being reliable is also a work in progress--not so much in a professional sense because I'm a totally devoted employee--but more so with friendships. I'm a bit flaky when it comes to social gatherings, and I'm often quick to RSVP yes, but when the social hour strikes I'm more likely to hide out in my apartment.
How are you doing on that stuff now?
My confidence is always growing, and it helps that I have an amazing support system of friends, family and coworkers who push me outside my comfort zone on a daily basis. Reliability? Not so much. I think I've gotten worse at being socially reliable over the last few years, but I like to think that's just a result of having more confidence in my introversion?
Define your career...then tell us how it's different than you thought it would be.
I am working in social media at a tech startup that analyzes data for the industrial space. It sounds kind of sexy, right? But I am so, so, so vastly far away from where I thought I would be. When I was in college (lol, last year), I believed I would graduate, jump on a plane to New York City and work 80 hours a week trying to break into the fashion writing scene. I even had a plane ticket! But sometimes life just happens. Today, I'm still in Chicago, and I'm pretty happy about it. But don't worry--even though I haven't made it to NYC, I've still had a taste of 80+ hour work weeks. Unfortunately, though, I don't work in fashion or even in writing anymore. I hope that will change soon.
Do you feel like you've made it yet? Have things clicked? Explain.
In some senses, I am really proud of myself: I live in downtown Chicago, I have a full time job, I'm paying off my student loans on my own, and I have an amazing apartment that I share with my boyfriend. So on a personal level, I think I've totally made it, and it can only keep get better. But have I made it professionally? Absolutely, positively, 100% no, I haven't made it. I couldn't feel further away from making it. There is so much I have to do! I'm going to start a project of my own! I'm going to write copy for a fashion brand! I'm going to contribute to a major fashion magazine! I'm hopefully going to make a lot of money... because I'm going to own a closet full of Céline--I mean you need to make a lot of money to have a closet full of Céline!!!!
How do you think others perceive your life path? Do you care?
........
(1)
Computed, not measured: a relaxed structure of B5C7 at the GGA-PBE level of DFT.

Summary:
Crystal system: monoclinic
SG: Pm, No. 6
Energy above the most stable polymorph in this dataset: 115 meV per atom
ΔE_f: 373 meV per atom

Cell lengths 2.482, 4.817, 6.591 Å; angles 94.57, 90.00, 90.00 degrees
Fractional positions:
B1 0.500 0.824 0.339
B2 0.500 0.193 0.902
B3 0.000 0.658 0.675
B4 0.000 0.325 0.325
B5 0.000 0.979 0.012
C1 0.500 0.509 0.237
C2 0.500 0.512 0.004
C3 0.000 0.321 0.590
C4 0.000 0.003 0.253
C5 0.000 0.651 0.927
C6 0.500 0.167 0.649
C7 0.500 0.855 0.586

=====

(2)
Computed, not measured: a relaxed structure of KNbCl2 at the GGA-PBE level of DFT.

Summary:
Crystal system: tetragonal
SG: I-42d, No. 122
Energy above the most stable polymorph in this dataset: 143 meV per atom

Cell lengths 5.820, 5.820, 8.772 Å; angles 70.63, 70.63, 90.00 degrees
Site moments in Bohr magnetons follow the coordinates.
Fractional positions:
Nb1 0.000 0.000 0.000  2.77
Nb2 0.750 0.250 0.500  2.77
K1 0.500 0.500 0.000  0.02
K2 0.250 0.750 0.500  0.02
Cl1 0.711 0.125 0.250  0.00
Cl2 0.039 0.625 0.250  0.00
Cl3 0.375 0.289 0.750  0.01
Cl4 0.875 0.961 0.750  0.00

* * * * *

1.
Entry from Alexandria: crystalline La2DyTh4 at its relaxed geometry (PBE).

- symmetry = Cmmm, No. 65
- energy of formation (eV/f.u.) = 0.41
- DFT total energy (eV/atom) = -6.246
- V (Å³ per cell) = 236.6

abc: 18.4971 18.4971 3.5878
angles: 90.00 90.00 168.89
Last column: nearest neighbours and their distance in Å.
Positions (direct):
La (0.2037, 0.7963, 0.0000)  4 Th 3.57, 6 La 3.58-3.85
La (0.7963, 0.2037, 0.0000)  4 Th 3.57, 6 La 3.58-3.85
Dy (0.5000, 0.5000, 0.5000)  4 Dy 3.58-3.59, 8 Th 3.60
Th (0.0696, 0.9304, 0.0000)  8 Th 3.51-3.59, 4 Dy 3.60
Th (0.3644, 0.6356, 0.5000)  8 Th 3.51-3.59, 4 La 3.57
Th (0.6356, 0.3644, 0.5000)  8 Th 3.51-3.59, 4 La 3.57
Th (0.9304, 0.0696, 0.0000)  8 Th 3.51-3.59, 4 Dy 3.60

2.
Entry from Alexandria: crystalline LaDy6Th8 at its relaxed geometry (PBE).

- symmetry = R-3, No. 148
- energy of formation (eV/f.u.) = 2.03
- DFT total energy (eV/atom) = -5.991
- V (Å³ per cell) = 486.2

abc: 8.8100 8.8100 8.8100
angles: 60.24 60.24 60.24
Last column: nearest neighbours and their distance in Å.
Positions (direct):
La (0.0000, 0.0000, 0.0000)  6 Dy 3.52, 6 Th 3.58
Dy (0.0676, 0.5300, 0.2747)  3 Dy 3.36-3.55, 5 Th 3.39-3.72, 1 La 3.52
Dy (0.2747, 0.0676, 0.5300)  3 Dy 3.36-3.55, 5 Th 3.39-3.72, 1 La 3.52
Dy (0.4700, 0.7253, 0.9324)  3 Dy 3.36-3.55, 5 Th 3.39-3.72, 1 La 3.52
Dy (0.5300, 0.2747, 0.0676)  3 Dy 3.36-3.55, 5 Th 3.39-3.72, 1 La 3.52
Dy (0.7253, 0.9324, 0.4700)  3 Dy 3.36-3.55, 5 Th 3.39-3.72, 1 La 3.52
Dy (0.9324, 0.4700, 0.7253)  3 Dy 3.36-3.55, 5 Th 3.39-3.72, 1 La 3.52
Th (0.1223, 0.6633, 0.8079)  6 Th 3.35-3.69, 3 Dy 3.39-3.65, 1 La 3.58
Th (0.1921, 0.8777, 0.3367)  6 Th 3.35-3.69, 3 Dy 3.39-3.65, 1 La 3.58
Th (0.3367, 0.1921, 0.8777)  6 Th 3.35-3.69, 3 Dy 3.39-3.65, 1 La 3.58
Th (0.4225, 0.4225, 0.4225)  4 Th 3.34-3.35, 6 Dy 3.50-3.72
........
## So much for the crystal structures
I'm really not sure. I know my family and friends are proud of me because they tell me so, but maybe they're supposed to do that. I think caring about what others think is useless because no one else is living my life. No one else feels the defeat when I don't succeed, nor does s/he experience the elation when I do. So at the end of the day, I don't care how others perceive my life path as long as I meet the standards I've set for myself.
Speaking of others, how have your relationships shaped you?
I am my mother's daughter. She taught me that there's value in working just a little bit later, pushing just a little bit harder, questioning just a little bit more. And there exists no better role models on earth than my grandparents. They've taught me to work harder, be kinder and love deeper. My mother and my grandparents are my rocks, and I know they'll be there to support me no matter what happens.
My friend David has taught me to be more creative. He pushes me to think outside the box more than anyone else I know, and he's quick to question my ideas, but only to make them stronger and more refined.
My friend KP keeps me grounded and shows me that taking risks is scary but always worthwhile. She is also proof that if you want something enough then it's yours for the taking.
(My boyfriend) Reed has taught me to be more patient and responsible. He forces me to question my motives and to think through the decisions I make, ensuring that I'm both responsible and reasonable in my endeavors. He's also helped tremendously with my confidence because he lets me be myself all.the.freaking.time. He's also taught me to be more selfless and empathetic.
And two women who have provided the best advice, mentorship and leadership in terms of forging a creative path in the city: Jessica Murnane and Jourdan Fairchild. Not only have they showed me that it's possible to attain personal and professional success, but also that it can be achieved in a graceful and thoughtful way. They're positive, strong willed and intelligent (and they look good, too). I couldn't feel more grateful for their existence in my life. Whether it's a coffee date, an invitation to an event, a referral letter, some serious copyediting, a professional introduction or just a friendly chat, Jessica and Jourdan have helped me in ways that are beyond imagination. I've referenced them more than once in conversation about the kind of person I strive to be, and I can't imagine that ever changing.
What's your perspective on life like now as opposed to 5 years ago? 10 years ago?
Ten years ago, I was just starting high school. I was nervous and self-conscious, and I didn't want to go. I wanted to be homeschooled. Life seemed daunting. Not a lot changed in five years, because just five years ago, I was living in Iowa City and studying pre-dentistry at the University of Iowa. I felt really unhappy and defeated, and sort of like everything was scary and unknown. Today, everything still seems just as scary and unknown, but I'm much more optimistic, and I know there is so much opportunity to be had. Life looks like a long road filled with hard work, change and perseverance, but I'm interested to see where the road takes me.
What are you most looking forward to?
Honestly, I'm most looking forward to paying off my student loans because I feel like that is when my life will really begin! Isn't that horrible? I hope that when I have less debt, I will be able to make professional decisions that increase my happiness not just the numbers in my bank accounts. I'm also really looking forward to moving to New York (once my loans are paid back).
In your daily life, when are you happiest?
I am the happiest when I am in my home. Even if it's just painting or cleaning, I'm creating a place that is truly my own. I have time and space to be selfish in my thoughts and activities, and I feel totally safe to be my true self, surrounded by all of my favorite people and things.
On the other hand, how do you pull yourself out of a funk when you're in one? And how did you most likely wind up in said hypothetical funk in the first place?
As much as I know that a person's job doesn't define him/her, I somehow can't escape the feeling that in my life, what I do defines me. So when I think about work stresses or discontent, I get really down. It can be tough to recover from those thoughts, but usually just venting to Reed or my mom does the trick, or at least helps me see another perspective. Running really, really helps take my mind off things and forces me to transform negative energy into something positive. Reading helps, too--it's sort of like an escape into another world.
Any other questions you wish someone would ask you?
I'm not sure that I would want to answer these, but I think asking about a person's distresses, fears and failures is as important as his/her desires, dreams and projections.
*Editor comment: Noted.